• Contents:
/*
# 1
CdTe2W, optimized geometry, DFT PBE; electronic total energy = -4.330 eV per atom; uncorrected formation energy = 708.2 meV/atom; density = 8945 kg/m³
1.0
7.251 9.647 3.562
9.496 7.549 3.341
8.615 9.131 0.849
W Te Cd
1 2 1
direct
0.000 0.000 0.000
0.074 0.074 0.074
0.926 0.926 0.926
0.500 0.500 0.500

---

# 2
CdTeW3, optimized geometry, DFT PBE; electronic total energy = -6.224 eV per atom; uncorrected formation energy = 2359.6 meV/atom; density = 11166 kg/m³; energy above the most stable polymorph in this dataset = 0.0 kJ/mol of atoms
1.0
-1.990 0.717 -4.421
1.110 -4.608 -1.247
-4.339 -1.507 1.709
W Te Cd
3 1 1
direct
0.500 0.000 0.000
0.000 0.000 0.500
0.000 0.500 0.000
0.000 0.000 0.000
0.500 0.500 0.500

---

# 3
CdTe2W, optimized geometry, DFT PBE; electronic total energy = -4.258 eV per atom; uncorrected formation energy = 780.4 meV/atom; density = 9176 kg/m³
1.0
-4.828 0.250 4.335
2.838 -2.543 5.258
0.377 1.807 2.336
Te Cd W
2 1 1
direct
0.000 0.000 0.000
0.500 0.500 0.000
0.000 0.500 0.500
0.500 0.000 0.500

---

# 4
CdTeW3, optimized geometry, DFT PBE; electronic total energy = -5.650 eV per atom; uncorrected formation energy = 2932.9 meV/atom; density = 11119 kg/m³; energy above the most stable polymorph in this dataset = 55.3 kJ/mol of atoms
1.0
-3.455 2.792 2.087
-2.896 -3.934 0.469
1.940 -0.901 4.417
W Te Cd
3 1 1
direct
0.500 0.000 0.000
0.000 0.500 0.000
0.000 0.000 0.500
0.500 0.500 0.500
0.000 0.000 0.000

---

# 5
CdTe2W, optimized geometry, DFT PBE; electronic total energy = -4.059 eV per atom; uncorrected formation energy = 979.2 meV/atom; density = 10099 kg/m³
1.0
-0.328 -1.694 -3.055
-2.408 -4.204 2.590
-4.205 2.003 -0.659
W Cd Te
1 1 2
direct
0.500 0.000 0.500
0.000 0.500 0.500
0.000 0.000 0.000
0.500 0.500 0.000

---

# 6
CdTe2W, optimized geometry, DFT PBE; electronic total energy = -4.868 eV per atom; uncorrected formation energy = 169.5 meV/atom; density = 8168 kg/m³
1.0
-2.709 -9.192 5.396
0.445 -10.109 4.309
0.083 -8.288 7.228
Te Cd W
2 1 1
direct
0.892 0.892 0.892
0.108 0.108 0.108
0.000 0.000 0.000
0.500 0.500 0.500

---

# 7
CdTeW, optimized geometry, DFT PBE; electronic total energy = -4.939 eV per atom; uncorrected formation energy = 731.1 meV/atom; density = 10059 kg/m³; energy above the most stable polymorph in this dataset = 28.2 kJ/mol of atoms
1.0
8.811 0.058 -0.038
8.046 2.992 -0.040
0.766 -1.148 2.700
Cd Te W
1 1 1
direct
0.974 0.974 0.026
0.697 0.697 0.303
0.329 0.329 0.671

---

# 8
CdTeW, optimized geometry, DFT PBE; electronic total energy = -4.744 eV per atom; uncorrected formation energy = 925.7 meV/atom; density = 10133 kg/m³; energy above the most stable polymorph in this dataset = 47.0 kJ/mol of atoms
1.0
4.614 0.000 0.000
2.307 3.996 0.000
2.307 1.332 3.767
Te Cd W
1 1 1
direct
0.500 0.500 0.500
0.000 0.000 0.000
0.250 0.250 0.250

---

Repeat the second record exactly.
CdTeW3, optimized geometry, DFT PBE; electronic total energy = -6.224 eV per atom; uncorrected formation energy = 2359.6 meV/atom; density = 11166 kg/m³; energy above the most stable polymorph in this dataset = 0.0 kJ/mol of atoms
1.0
-1.990 0.717 -4.421
1.110 -4.608 -1.247
-4.339 -1.507 1.709
W Te Cd
3 1 1
direct
0.500 0.000 0.000
0.000 0.000 0.500
0.000 0.500 0.000
0.000 0.000 0.000
0.500 0.500 0.500

---

Question: uncorrected formation energy of number 8 (CdTeW)?
Answer: 925.7 meV/atom

---

Question: Look up the electronic total energy of the fifth one.
Answer: -4.059 eV per atom

---

Copy entry 5 word for word.
CdTe2W, optimized geometry, DFT PBE; electronic total energy = -4.059 eV per atom; uncorrected formation energy = 979.2 meV/atom; density = 10099 kg/m³
1.0
-0.328 -1.694 -3.055
-2.408 -4.204 2.590
-4.205 2.003 -0.659
W Cd Te
1 1 2
direct
0.500 0.000 0.500
0.000 0.500 0.500
0.000 0.000 0.000
0.500 0.500 0.000

~~~~~

[1]
VASP calculation (PBE-GGA) on crystalline NaHg2Rh at its relaxed geometry.

## Properties
* space group: I-42d, No. 122
*/

• What to do:
Your job: set down the lines further above up to the one that holds "0.377 1.807", that line included.

• Worked solution:
# 1
CdTe2W, optimized geometry, DFT PBE; electronic total energy = -4.330 eV per atom; uncorrected formation energy = 708.2 meV/atom; density = 8945 kg/m³
1.0
7.251 9.647 3.562
9.496 7.549 3.341
8.615 9.131 0.849
W Te Cd
1 2 1
direct
0.000 0.000 0.000
0.074 0.074 0.074
0.926 0.926 0.926
0.500 0.500 0.500

---

# 2
CdTeW3, optimized geometry, DFT PBE; electronic total energy = -6.224 eV per atom; uncorrected formation energy = 2359.6 meV/atom; density = 11166 kg/m³; energy above the most stable polymorph in this dataset = 0.0 kJ/mol of atoms
1.0
-1.990 0.717 -4.421
1.110 -4.608 -1.247
-4.339 -1.507 1.709
W Te Cd
3 1 1
direct
0.500 0.000 0.000
0.000 0.000 0.500
0.000 0.500 0.000
0.000 0.000 0.000
0.500 0.500 0.500

---

# 3
CdTe2W, optimized geometry, DFT PBE; electronic total energy = -4.258 eV per atom; uncorrected formation energy = 780.4 meV/atom; density = 9176 kg/m³
1.0
-4.828 0.250 4.335
2.838 -2.543 5.258
0.377 1.807 2.336